-- begin --
No. 1
Entry from the Open Molecules 2025 dataset: a single C4H10N2O molecule (ωB97M-V/def2-TZVPD).

Last column: natural (NBO) charge in e.
Atoms and positions in Å:
C 0.46857 -2.70817 -0.11741  -0.240
O 0.87650 -1.91560 -1.28780  -0.511
C 0.34151 -0.62101 -1.29019  0.313
N -0.29339 -0.47905 -0.08712  -0.349
N -0.92512 0.81245 0.31440  -0.281
C -0.27321 1.31867 1.50115  -0.456
C -0.34976 1.77061 -0.64582  -0.444
H 1.08629 -2.33140 0.67711  0.196
H -0.50688 -2.63108 0.17842  0.199
H 0.53165 -3.94424 -0.24860  0.180
H 0.13393 -0.02903 -2.13073  0.191
H -0.82908 2.22296 1.93543  0.212
H -0.36998 0.64362 2.59282  0.223
H 0.84873 1.87065 1.33140  0.181
H -0.56280 1.37037 -1.64706  0.178
H -0.97256 2.71909 -0.41618  0.217
H 0.79562 1.93114 -0.65981  0.192

The energy above the lowest of the compared OMol25 structures with the same formula, charge and spin is 663.2 kJ/mol. The calculation puts the lowest unoccupied orbital energy at 0.03525 Ha. The structure (SMILES) is CO/C=N/N(C)C. The value obtained for the HOMO-LUMO gap is 10.014 eV.

=====

No. 2
Entry from the Open Molecules 2025 dataset: a single C4H10N2O molecule (ωB97M-V/def2-TZVPD).

Last column: natural (NBO) charge in e.
Atoms and positions in Å:
C -0.27142 -1.35492 -0.73162  -0.647
C -0.77227 -0.23160 0.17787  -0.034
N -1.71102 -0.75737 1.16310  -0.852
C 0.42340 0.45444 0.88544  -0.522
C 1.50457 0.84756 -0.05538  0.693
N 1.20765 2.12694 -0.70016  -0.892
O 2.43272 0.08366 -0.41580  -0.593
H 0.64472 -1.84484 -0.29479  0.227
H -0.94573 -2.21168 -0.98308  0.216
H 0.01316 -0.89422 -1.73440  0.215
H -1.27905 0.53068 -0.43008  0.183
H -2.71074 -0.94698 0.75409  0.365
H -1.48675 -1.73695 1.53206  0.362
H 0.79463 -0.23376 1.67414  0.236
H 0.07987 1.30312 1.43355  0.229
H 1.88648 2.36169 -1.50813  0.408
H 0.18977 2.50422 -0.76681  0.406

The energy above the lowest of the compared OMol25 structures with the same formula, charge and spin is 148.1 kJ/mol. The calculation puts the lowest unoccupied orbital energy at 0.02850 Ha. The structure (SMILES) is C[C@@H](N)CC(N)=O. The value obtained for the HOMO-LUMO gap is 10.162 eV.

=====

No. 3
Entry from the Open Molecules 2025 dataset: 2 unconnected molecules or ions with the total composition C4H10N2O (ωB97M-V/def2-TZVPD).

Last column: natural (NBO) charge in e.
Atoms and positions in Å:
C -1.80241 -1.65528 -0.20668  -0.608
C -0.79977 -0.64357 0.31517  -0.133
N 0.29052 -1.26270 1.00357  -0.835
C -1.28282 0.53212 0.75032  0.456
N -1.71266 1.65896 0.58666  -0.669
H -2.61991 -1.16204 -0.72776  0.217
H -1.29823 -2.36262 -0.86293  0.228
H -2.23917 -2.24072 0.60546  0.200
H 0.02586 -1.80636 1.81597  0.359
H 1.02474 -0.59726 1.21567  0.390
H -1.66429 2.40471 1.27382  0.414
C 2.37074 1.25639 -1.08540  -0.233
O 1.29963 1.25368 -0.18153  -0.778
H 2.52594 0.26680 -1.53471  0.160
H 2.24119 1.96939 -1.90920  0.156
H 3.28099 1.54662 -0.55088  0.177
H 0.35965 0.84188 -0.50758  0.499

The energy above the lowest of the compared OMol25 structures with the same formula, charge and spin is 422.0 kJ/mol. The calculation puts the lowest unoccupied orbital energy at 0.01382 Ha. The structure (SMILES) is CC(N)=C=N.CO. The value obtained for the HOMO-LUMO gap is 8.174 eV.

=====

No. 4
Entry from the Open Molecules 2025 dataset: a single C4H10N2O molecule (ωB97M-V/def2-TZVPD).

Last column: natural (NBO) charge in e.
Atoms and positions in Å:
N 2.07505 -1.13246 -1.84141  -0.855
C 1.53551 0.01225 -1.14195  -0.058
N 0.19624 0.33198 -0.65115  -0.637
C -0.21963 -0.35068 0.66350  -0.232
C -0.98405 0.45506 1.69349  -0.548
C -2.29399 0.89780 1.14167  0.456
O -2.86976 0.45861 0.17638  -0.529
H 1.35261 -1.90563 -1.65972  0.358
H 2.21063 -0.93779 -2.88100  0.367
H 1.61455 0.84256 -1.81928  0.181
H 2.24130 0.04655 -0.22990  0.159
H -0.50000 0.12506 -1.36413  0.370
H -0.84074 -1.28062 0.54953  0.185
H 0.70974 -0.69294 1.15970  0.197
H -1.15922 0.16310 2.74244  0.248
H -0.30366 1.32778 1.63723  0.244
H -2.76456 1.63938 1.82460  0.094
-- stop --
It remains to give back the whole of the block above without altering anything.
No. 1
Entry from the Open Molecules 2025 dataset: a single C4H10N2O molecule (ωB97M-V/def2-TZVPD).

Last column: natural (NBO) charge in e.
Atoms and positions in Å:
C 0.46857 -2.70817 -0.11741  -0.240
O 0.87650 -1.91560 -1.28780  -0.511
C 0.34151 -0.62101 -1.29019  0.313
N -0.29339 -0.47905 -0.08712  -0.349
N -0.92512 0.81245 0.31440  -0.281
C -0.27321 1.31867 1.50115  -0.456
C -0.34976 1.77061 -0.64582  -0.444
H 1.08629 -2.33140 0.67711  0.196
H -0.50688 -2.63108 0.17842  0.199
H 0.53165 -3.94424 -0.24860  0.180
H 0.13393 -0.02903 -2.13073  0.191
H -0.82908 2.22296 1.93543  0.212
H -0.36998 0.64362 2.59282  0.223
H 0.84873 1.87065 1.33140  0.181
H -0.56280 1.37037 -1.64706  0.178
H -0.97256 2.71909 -0.41618  0.217
H 0.79562 1.93114 -0.65981  0.192

The energy above the lowest of the compared OMol25 structures with the same formula, charge and spin is 663.2 kJ/mol. The calculation puts the lowest unoccupied orbital energy at 0.03525 Ha. The structure (SMILES) is CO/C=N/N(C)C. The value obtained for the HOMO-LUMO gap is 10.014 eV.

=====

No. 2
Entry from the Open Molecules 2025 dataset: a single C4H10N2O molecule (ωB97M-V/def2-TZVPD).

Last column: natural (NBO) charge in e.
Atoms and positions in Å:
C -0.27142 -1.35492 -0.73162  -0.647
C -0.77227 -0.23160 0.17787  -0.034
N -1.71102 -0.75737 1.16310  -0.852
C 0.42340 0.45444 0.88544  -0.522
C 1.50457 0.84756 -0.05538  0.693
N 1.20765 2.12694 -0.70016  -0.892
O 2.43272 0.08366 -0.41580  -0.593
H 0.64472 -1.84484 -0.29479  0.227
H -0.94573 -2.21168 -0.98308  0.216
H 0.01316 -0.89422 -1.73440  0.215
H -1.27905 0.53068 -0.43008  0.183
H -2.71074 -0.94698 0.75409  0.365
H -1.48675 -1.73695 1.53206  0.362
H 0.79463 -0.23376 1.67414  0.236
H 0.07987 1.30312 1.43355  0.229
H 1.88648 2.36169 -1.50813  0.408
H 0.18977 2.50422 -0.76681  0.406

The energy above the lowest of the compared OMol25 structures with the same formula, charge and spin is 148.1 kJ/mol. The calculation puts the lowest unoccupied orbital energy at 0.02850 Ha. The structure (SMILES) is C[C@@H](N)CC(N)=O. The value obtained for the HOMO-LUMO gap is 10.162 eV.

=====

No. 3
Entry from the Open Molecules 2025 dataset: 2 unconnected molecules or ions with the total composition C4H10N2O (ωB97M-V/def2-TZVPD).

Last column: natural (NBO) charge in e.
Atoms and positions in Å:
C -1.80241 -1.65528 -0.20668  -0.608
C -0.79977 -0.64357 0.31517  -0.133
N 0.29052 -1.26270 1.00357  -0.835
C -1.28282 0.53212 0.75032  0.456
N -1.71266 1.65896 0.58666  -0.669
H -2.61991 -1.16204 -0.72776  0.217
H -1.29823 -2.36262 -0.86293  0.228
H -2.23917 -2.24072 0.60546  0.200
H 0.02586 -1.80636 1.81597  0.359
H 1.02474 -0.59726 1.21567  0.390
H -1.66429 2.40471 1.27382  0.414
C 2.37074 1.25639 -1.08540  -0.233
O 1.29963 1.25368 -0.18153  -0.778
H 2.52594 0.26680 -1.53471  0.160
H 2.24119 1.96939 -1.90920  0.156
H 3.28099 1.54662 -0.55088  0.177
H 0.35965 0.84188 -0.50758  0.499

The energy above the lowest of the compared OMol25 structures with the same formula, charge and spin is 422.0 kJ/mol. The calculation puts the lowest unoccupied orbital energy at 0.01382 Ha. The structure (SMILES) is CC(N)=C=N.CO. The value obtained for the HOMO-LUMO gap is 8.174 eV.

=====

No. 4
Entry from the Open Molecules 2025 dataset: a single C4H10N2O molecule (ωB97M-V/def2-TZVPD).

Last column: natural (NBO) charge in e.
Atoms and positions in Å:
N 2.07505 -1.13246 -1.84141  -0.855
C 1.53551 0.01225 -1.14195  -0.058
N 0.19624 0.33198 -0.65115  -0.637
C -0.21963 -0.35068 0.66350  -0.232
C -0.98405 0.45506 1.69349  -0.548
C -2.29399 0.89780 1.14167  0.456
O -2.86976 0.45861 0.17638  -0.529
H 1.35261 -1.90563 -1.65972  0.358
H 2.21063 -0.93779 -2.88100  0.367
H 1.61455 0.84256 -1.81928  0.181
H 2.24130 0.04655 -0.22990  0.159
H -0.50000 0.12506 -1.36413  0.370
H -0.84074 -1.28062 0.54953  0.185
H 0.70974 -0.69294 1.15970  0.197
H -1.15922 0.16310 2.74244  0.248
H -0.30366 1.32778 1.63723  0.244
H -2.76456 1.63938 1.82460  0.094